I'm in the process of debugging my application, which was working well with opengl on Windows 10. The app is broken because of a seemingly missing opengl function. The problem seems to have started when I installed the latest update for Windows 10. I suspect that opengl32.dll is missing key functions for Windows.
Specifically, I always gained access to wglChoosePixelFormatARB by calling Windows wglGetProcAddress. However, wglGetProcAddress now returns a null pointer for this function.
As a workaround, I tried to gain access to wglChoosePixelFormatARB by using the LoadLibrary of opengl32.dll and GetProcAddress. The return value is still a null, and the GetLastError returns ERROR_PROC_NOT_FOUND.
To double-check the issue, I downloaded a dll export viewer tool from nirsoft.com. I saw that wglChoosePixelFormatARB is not listed in opengl32.dll, whereas the older function, wglChoosePixelFormat, is there. The wglChoosePixelFormat function is a much older way to choose the format. What is the logic behind distributing this opengl32 dll?
I read the following answer from Microsoft, but it doesn't seem that another update is available or that the answer will fix my problem:
Does anybody have a suggestion?
Turns out that Dell's Intel HD driver update from Nov 2017 is messing up OpenGL. One way to solve the problem is to use Dell's older driver update.
This might be wrong; the older drive might not include the Intel security update. Choose your poison.
The working driver is here:
My application relies on DBGHELP.DLL functions, especially the information about the loaded DLLs by the target processes. However, many times it fails on Windows versions lower to Vista (you know XP is still there!). Looked around and found that installed/present DBGHELP.DLL on the target system is old, and doesn't support many new features (For example, few flags of MiniDumpWriteDump are not supported in older versions).
This page mentions about the DbgHelp versions and vaguely mentions about distributing the DBGHELP.DLL (and other DLLs). DLLs shipped with OS must not be shipped (agreed, and no issues about it). Then it says latest DLL out of "Debugging Tools For Windows" should be shipped.
My question is: Which version can be/should be shipped with the application? Pick the latest one and assume it will work in lowest OS (XP)? Of course, I won't ship Debug version of this DLL. The "DbgHelp versions" page doesn't mention about supportability for specific OSes - so we may assume that even latest version will be supported on XP.
I would put the DLL in the application directory itself, and may conditionally call functions like SetDllDirectory. If needed, the DLL itself and/or any functions of DBGHELP.DLL may be loaded dynamically.
SymInitialize failed with error 2147483661
One of the missing file error occurs as the file is deleted or corrupted. There is a different approach to its fix on the different windows versions. If you certainly need to fix dbghelp.dll missing error you need to install Microsoft Direct X follow the step-by-step method from installation of it.
I'm writing a program that needs to run across Windows 7, 8.x and 10. The program has a one (relatively minor) feature that relies on Windows APIs that are only available on Windows 10. This feature will obviously not work on Win7, and before calling these APIs I make sure that the current OS is Windows 10.
In order to use these APIs I'm forced to configure my VS2015 project to "Consume Windows Runtime Extension" (/ZW) and to set "Target Platform Version" to 10.0.10586.0.
However, this causes a problem when I try to run the app on Windows 7. I get an error dialog saying "The program can't start because api-ms-win-core-winrt-string-l1-1-0.dll is missing from your computer". I tried to installed VS2015 redistributable package on the Win7 machine, but that did not solve the problem.
Any idea on how to get this to run on Win7? I really prefer not to change all my code to dynamically load all Windows 10 functions.
The program is written in C++, and the Windows API I use are from Windows.Devices.WifiDirect namespace.
I ended up solving this problem by moving all my Win10-only API calls into a proxy DLL, which is compiled with /ZW. I then removed the /ZW switch from the main program, which then allowed it to run under Windows 7. The proxy DLL is only loaded (using LoadLibrary() call) when my program is running on a Windows 10 machine.
This solved the problem. I did have to write a few proxy functions for the DLL, but it was far lass overhead than doing that for all the Win10-only API calls.
I would still like to hear better solutions, if there are any.
It is possible to access Windows 10 APIs without using /ZW switch by using the "ABI" API. More details here:
You'll have to use APIs like "RoGetActivationFactory" and "WindowsCreateString" through LoadLibrary/GetProcAddress, since you can't link to them as they're not available on Windows 7. Don't forget to define your WINVER and _WIN32_WINNT to Windows 7:
== Materials data from another source follow ==
=====
1.
Structure and computed powder diffraction line list of Pm7Tm2 (a DFT-relaxed cell (PBE, Alexandria); λ = 1.5418 Å (Cu Kα)).
Lines closer than 0.1° are merged.

Structural model:
Cell lengths 6.261, 6.261, 8.843 Å; angles 90.00, 90.00, 120.00 degrees
Atoms (fractional coordinates):
1 Pm 0.000 0.000 0.000
2 Pm 0.000 0.334 0.670
3 Pm 0.000 0.666 0.330
4 Pm 0.334 0.000 0.670
5 Pm 0.334 0.334 0.330
6 Pm 0.666 0.000 0.330
7 Pm 0.666 0.666 0.670
8 Tm 0.333 0.667 0.000
9 Tm 0.667 0.333 0.000

Most intense lines, 2θ = 10–80°, low angle first:
d 8.843, 10.0 deg, rel. 1
d 2.950, 30.3 deg, rel. 100
d 2.555, 35.1 deg, rel. 51
d 1.807, 50.5 deg, rel. 36
d 1.541, 60.0 deg, rel. 43
d 1.475, 63.0 deg, rel. 12
d 1.278, 74.2 deg, rel. 6

2.
Structure and computed powder diffraction line list of Pm5Tm2 (a DFT-relaxed cell (PBE, Alexandria); λ = 1.5418 Å (Cu Kα)).
Lines closer than 0.1° are merged.

Structural model:
Cell lengths 8.583, 8.583, 9.327 Å; angles 94.86, 94.86, 43.28 degrees
Atoms (fractional coordinates):
1 Pm 0.029 0.691 0.036
2 Pm 0.120 0.450 0.678
3 Pm 0.168 0.832 0.750
4 Pm 0.309 0.971 0.464
5 Pm 0.450 0.120 0.178
6 Pm 0.550 0.880 0.822
7 Pm 0.691 0.029 0.536
8 Pm 0.832 0.168 0.250
9 Pm 0.880 0.550 0.322
10 Pm 0.971 0.309 0.964
11 Tm 0.265 0.594 0.393
12 Tm 0.406 0.735 0.107
13 Tm 0.594 0.265 0.893
14 Tm 0.735 0.406 0.607

Most intense lines, 2θ = 10–80°, low angle first:
d 3.168, 28.2 deg, rel. 24
d 2.891, 30.9 deg, rel. 25
d 2.778, 32.2 deg, rel. 100
d 2.136, 42.3 deg, rel. 16
d 1.831, 49.8 deg, rel. 7
d 1.828, 49.9 deg, rel. 13
d 1.647, 55.8 deg, rel. 21
d 1.547, 59.8 deg, rel. 8
d 1.545, 59.9 deg, rel. 15
d 1.528, 60.6 deg, rel. 16

=====

Starting from a GGA-PBE-relaxed structure, the X-ray diffraction stick pattern of BiO2 was computed for Cu Kα.
Peak positions follow from Bragg's law for the DFT cell and can differ from measured ones.

Largest 6 diffraction maxima, by intensity, 15 to 90 degrees two-theta:
2θ (°)  intensity
17.5  100
30.0  97
31.4  75
15.5  66
28.7  54
31.2  46

Structural model:
```
BiO2
1.0
6.302 -3.481 0.000
6.302 3.481 0.000
-0.675 0.000 15.236
Bi O
12 24
Direct
0.000 0.000 0.000 Bi
0.000 0.505 0.004 Bi
0.163 0.650 0.643 Bi
0.311 0.311 0.337 Bi
0.320 0.817 0.381 Bi
0.505 0.000 0.004 Bi
0.508 0.508 0.131 Bi
0.636 0.636 0.622 Bi
0.650 0.163 0.643 Bi
0.817 0.320 0.381 Bi
0.820 0.820 0.404 Bi
0.835 0.835 0.818 Bi
0.108 0.702 0.914 O
0.152 0.152 0.940 O
0.163 0.163 0.431 O
0.198 0.623 0.422 O
0.294 0.800 0.576 O
0.323 0.827 0.066 O
0.328 0.328 0.584 O
0.346 0.346 0.080 O
0.489 0.933 0.314 O
0.493 0.493 0.711 O
0.510 0.510 0.295 O
0.557 0.997 0.730 O
0.623 0.198 0.422 O
0.635 0.635 0.458 O
0.702 0.108 0.914 O
0.706 0.706 0.905 O
0.800 0.294 0.576 O
0.827 0.323 0.066 O
0.843 0.843 0.565 O
0.861 0.861 0.075 O
0.933 0.489 0.314 O
0.965 0.965 0.728 O
0.988 0.988 0.320 O
0.997 0.557 0.730 O
```

=====

Record 1
=====
== The text goes on ==
That will allow you to not link to any APIs not available on Windows 7.
I’m a C++ application developer on Windows system. I’m developing an application using EGL 1.4 and OpenGL ES 2.0.
In a certain kind of a OpenGL32.DLL version, I found that a PVR error message occurred. The versions of OpenGL32.DLL that cause this problem are 6.3.9600.16384 on Win8.1 and 4.0.1379.1. And the message says :
PVR Message
PVR: VFrame attempted to use one of these functions:
PVR: wglChoosePixelFormatARB
PVR: but they are not present on you machine.
This message appeared when I call eglChooseConfig() or eglGetConfigs() functions in EGL API to get system configs.
I think this problem occurred because OpenGL32.dll versions mentioned above don’t support wglChoosePixelFormatARB() function.
Most of versions that I tested worked well. List of working version is :
And list of not working version is :
6.3.9600.16384 (720kb)
To solve this problem, I want to include this dll file in my product for a commercial use. I want to know that distributing a working version of OpenGL32.dll is possible. And can you know me the list of OpenGL32.dll version without this error and license information about OpenGL32.dll?
The issue is not about the opengl32.dll (in fact its inner working hasn't changed since Windows NT-4 some 19 years ago). Your system is simply missing a graphics driver with full OpenGL support:
The graphics drivers that are installed by default on Windows (and Windows Update) have only a very limited, stripped down OpenGL support (in fact they hardly support GPU acceleration). To get proper, full OpenGL support you must download the driver package for your GPU from the GPU vendor's website and install it manually.
Using Windows standard, automatic driver installation and Windows Update will not give you proper OpenGL support.
I wrote a C program and works fine on Windows 7 and Linux, but when I execute it on Windows XP I get the error:
"_except_handler4_common could not be located in the dynamic link library msvcrt.dll"
I researched it and some people said to delete the DLL "dwmapi.dll" which I don't have, so that's not my problem.
Some one told me to use depends walker(depends.exe) to find who is using msvcrt.dll. I did and find that pcre library is using it and there actually is a problem with it, but I don't have any idea how to solve this. Can any one help me?
Here's image of what depends walker show me:
Reason possibilities (afaiu):
a) You linked to msvcrt.dll specifically when building - this should
not happen according to Microsoft support unless you specifically do
b) Some other installed or copied program/driver on your XP that
links to "wrong" version of msvcrl.dll is being triggered.
Depending on what the reason is,
here are few ideas to resolve:
== Inserted here: crystal structures ==
=====
Simulated powder X-ray diffraction pattern of Na2NbWO6 for Cu Kα, from a GGA+U-relaxed structure.

Largest 6 diffraction maxima, in order of falling intensity, 2θ = 10–90°:
2θ = 31.8°, d 2.817, I = 100.0
2θ = 22.3°, d 3.984, I = 99.4
2θ = 51.3°, d 1.782, I = 40.8
2θ = 56.6°, d 1.626, I = 39.8
2θ = 45.5°, d 1.992, I = 37.4
2θ = 66.4°, d 1.408, I = 22.1

Cell and atoms:
Cell: 5.632 5.632 3.985 Å, 90.00 90.00 90.00°
Space group P4mm (No. 99)
Unique sites:
Na  0.000  0.500  0.000 [2 per cell]
Nb  0.000  0.000  0.501 [1 per cell]
W  0.500  0.500  0.501 [1 per cell]
O  0.000  0.000  0.001 [1 per cell]
O  0.253  0.253  0.502 [4 per cell]
O  0.500  0.500  0.001 [1 per cell]

----------

1.
Simulated X-ray diffraction stick pattern
Compound: AcCd3Au2
Radiation: CuKα
Structure: a cell relaxed with GGA-PBE

a b c (Å): 10.669 10.669 4.494
angles (deg): 90.00 90.00 120.00
Atoms (fractional coordinates):
Ac: 0.000 0.000 0.000
Ac: 0.333 0.667 0.500
Ac: 0.667 0.333 0.500
Cd: 0.000 0.288 0.500
Cd: 0.000 0.500 0.000
Cd: 0.000 0.712 0.500
Cd: 0.288 0.000 0.500
Cd: 0.288 0.288 0.500
Cd: 0.500 0.000 0.000
Cd: 0.500 0.500 0.000
Cd: 0.712 0.000 0.500
Cd: 0.712 0.712 0.500
Au: 0.199 0.397 0.000
Au: 0.199 0.801 0.000
Au: 0.397 0.199 0.000
Au: 0.603 0.801 0.000
Au: 0.801 0.199 0.000
Au: 0.801 0.603 0.000

Top 10 peaks for 5 to 70 degrees two-theta, sorted by position:
25.5 deg, I 13
32.5 deg, I 100
33.6 deg, I 40
35.3 deg, I 67
39.3 deg, I 31
40.1 deg, I 34
42.7 deg, I 17
53.3 deg, I 22
53.6 deg, I 32
60.0 deg, I 17

=====

2.
Simulated X-ray diffraction stick pattern
Compound: LaCdAu
Radiation: CuKα
Structure: a cell relaxed with GGA-PBE

a b c (Å): 4.925 3.662 8.617
angles (deg): 90.00 90.00 90.00
Atoms (fractional coordinates):
La: 0.250 0.000 0.216
La: 0.750 0.000 0.784
Cd: 0.250 0.500 0.580
Cd: 0.750 0.500 0.420
Au: 0.250 0.500 0.909
Au: 0.750 0.500 0.091

Top 10 peaks for 5 to 70 degrees two-theta, sorted by position:
10.3 deg, I 32
24.3 deg, I 18
32.1 deg, I 41
32.2 deg, I 100
36.2 deg, I 73
36.5 deg, I 41
44.1 deg, I 20
49.4 deg, I 25
49.8 deg, I 17
63.1 deg, I 29

=====

3.
Simulated X-ray diffraction stick pattern
Compound: LaDy7Cd2
Radiation: CuKα
Structure: a cell relaxed with GGA-PBE

a b c (Å): 8.835 8.835 5.488
angles (deg): 90.00 90.00 118.42
Atoms (fractional coordinates):
La: 0.000 0.000 0.000
Dy: 0.059 0.303 0.500
Dy: 0.240 0.760 0.000
Dy: 0.303 0.059 0.500
Dy: 0.500 0.500 0.500
Dy: 0.697 0.941 0.500
Dy: 0.760 0.240 0.000
Dy: 0.941 0.697 0.500
Cd: 0.303 0.697 0.500
Cd: 0.697 0.303 0.500

Top 10 peaks for 5 to 70 degrees two-theta, sorted by position:
16.2 deg, I 67
25.5 deg, I 32
28.6 deg, I 79
30.8 deg, I 100
32.6 deg, I 82
34.5 deg, I 90
35.2 deg, I 83
45.5 deg, I 70
55.1 deg, I 25
62.1 deg, I 28

=====

4.
Simulated X-ray diffraction stick pattern
Compound: NaSc2OsO8
Radiation: CuKα
Structure: a cell relaxed with GGA-PBE

a b c (Å): 4.775 6.706 4.830
angles (deg): 90.00 90.76 90.00
Atoms (fractional coordinates):
Na: 0.000 0.000 0.000
=====
1) There might be some program/driver/etc. installation on your XP
machine that has introduced "Vista/Win7 related crap" onto it. It is
said (by the internets) that PCRE3.DLL belongs to "GnuWin32 Non-system
processes". That means you can try to find it and rename/delete it. Or
delete the program you that uses it.
2) Installing the redist for XP of the C++ redistributable that you
used to build on Win7 might help. This is link for VS2005: (darn..
use google - i can only give two links per post :P)
3) Just build the file from sources on your XP machine using some
VisualStudio version you can get on it. And check those VS project
4) Fix your build on Windows7. You might be linking to
_except_handler4_common in msvcrt.dll in your Windows 7 build. Make sure that you do not do that. You can specifically instruct the linker
not to link to it in VisualStudio project properties
"/NODEFAULTLIB:msvcrt80.lib". You also did not specify what are you
using for building. VS2005, VS2008, VS2010, gcc?
Answer based on educated guesses and Jeffrey Tan research here:
and research here:
(On behalf of OP)
The problem was with the pcre3.dll, as i've told before, and i simply change the version of it, I was using the version 7.x and change to 4.4 that calls pcre.dll instead of pcre3.dll, that solve my problem if any one have the same issue.
here is the link to the correct lib:
I have a Win32 app developed in C++ Builder XE, which has worked great in the WinPE 2.x/3.0 environments for the past couple of years. I have made some significant changes over the past couple of months, but now that it's complete and I try to run it under WinPE I get the error message: The program can't start because SHFOLDER.DLL is missing from your computer.
Since I can't control the WinPE environment, and this dll isn't included in WinPE, my first thought is to try and statically link the necessary components. However, it appears the functionality offered by this dll is only available from the dll.
I haven't been able to find any useful information on this DLL, and unfortunately I don't know which functionality I added that now requires this DLL. I am hoping that someone has experience with this, and can help guide me toward statically linking the required components, or finding a workaround so that this app no longer requires the dll. Thanks!
shfolder.dll is used to get shell folder paths like the Desktop, My Documents, Windows directory, etc. It implements SHGetFolderPath() consistently along all versions of Windows due to differences of implementation between SHGetSpecialFolderPath(), SHGetFolderLocation(), SHGetKnownFolderPath(), etc.
MSDN explains it better:
This function is a superset of SHGetSpecialFolderPath, included with
earlier versions of the Shell. On systems that preceded those that
include Shell32.dll version 5.0 (Windows Millennium Edition (Windows
Me) and Windows 2000), SHGetFolderPath was obtained through
The entry is interrupted by materials data:
........
[1]
This entry pairs a crystal structure of YHoNi2B4 with its computed PXRD pattern. Radiation: a wavelength of 1.5418 Å. Structure: DFT lattice parameters and positions (GGA-PBE).
Lines closer than 0.1° are merged.

Largest 8 diffraction maxima, sorted by position, 10 to 90 degrees two-theta:
2θ/deg	I/Imax	h k l
26.95	100.0	1 0 1
33.69	58.1	1 0 2
34.71	61.4	0 0 3
36.62	67.5	1 1 1
41.99	66.5	1 1 2
49.85	44.6	2 0 0
57.57	25.6	2 1 1
62.18	32.5	2 0 3

Structure:
Cell: 3.659 3.659 7.750 Å, 90.00 90.00 90.00°
Space group P4mm (No. 99)
Asymmetric unit:
Y (0.000, 0.000, 0.000) x1
Ho (0.500, 0.500, 0.645) x1
Ni (0.000, 0.500, 0.323) x2
B (0.000, 0.000, 0.455) x1
B (0.000, 0.000, 0.664) x1
B (0.500, 0.500, 0.190) x1
B (0.500, 0.500, 0.980) x1

[2]
This entry pairs a crystal structure of LaGdHf with its computed PXRD pattern. Radiation: a wavelength of 1.5418 Å. Structure: DFT lattice parameters and positions (GGA-PBE).
Lines closer than 0.1° are merged.

Largest 8 diffraction maxima, sorted by position, 10 to 90 degrees two-theta:
2θ/deg	I/Imax	h k l
20.72	33.2	1 1 1
34.15	100.0	2 2 0
40.28	18.3	3 1 1
49.08	18.1	4 0 0
53.82	7.9	3 3 1
61.15	37.4	4 2 2
71.93	11.6	4 4 0
82.09	16.3	6 2 0

Structure:
Cell: 7.425 7.425 7.425 Å, 90.00 90.00 90.00°
Space group F-43m (No. 216)
Asymmetric unit:
La (0.000, 0.000, 0.000) x4
Gd (0.000, 0.000, 0.500) x4
Hf (0.250, 0.250, 0.750) x4

[3]
This entry pairs a crystal structure of TbNdSi2 with its computed PXRD pattern. Radiation: a wavelength of 1.5418 Å. Structure: DFT lattice parameters and positions (GGA-PBE).
Lines closer than 0.1° are merged.

Largest 8 diffraction maxima, sorted by position, 10 to 90 degrees two-theta:
2θ/deg	I/Imax	h k l
27.52	39.1	1 1 0
29.69	100.0	1 1 1
31.84	73.2	1 0 2
32.64	81.7	0 2 1
35.46	42.8	1 1 2
36.63	47.3	0 1 3
40.20	38.9	1 2 1
51.73	34.2	1 2 3

Structure:
Cell: 3.898 5.830 8.113 Å, 90.00 90.00 90.00°
Space group Pmc2_1 (No. 26)
Asymmetric unit:
Tb (0.000, 0.135, 0.000) x2
Nd (0.500, 0.364, 0.359) x2
Si (0.000, 0.372, 0.644) x2
Si (0.500, 0.122, 0.717) x2

[4]
This entry pairs a crystal structure of Y2Ho2CIBr2Cl2 with its computed PXRD pattern. Radiation: a wavelength of 1.5418 Å. Structure: DFT lattice parameters and positions (GGA-PBE).
Lines closer than 0.1° are merged.

Largest 8 diffraction maxima, sorted by position, 10 to 90 degrees two-theta:
2θ/deg	I/Imax	h k l
10.34	99.5	2 0 0
10.83	49.5	0 0 1
31.35	50.7	6 0 0
31.65	100.0	1 1 -2
34.99	24.5	5 1 -1
45.05	29.0	5 1 2
45.25	28.1	7 1 -2
47.56	21.5	0 2 0

Structure:
Cell: 17.601 3.824 8.397 Å, 90.00 103.45 90.00°
Space group C2/m (No. 12)
Asymmetric unit:
Y (0.140, 0.000, 0.075) x4
Ho (0.000, 0.500, 0.192) x4
C (0.000, 0.000, 0.000) x2
I (0.000, 0.000, 0.500) x2
Br (0.171, 0.500, 0.837) x4
Cl (0.159, 0.500, 0.312) x4

[5]
This entry pairs a crystal structure of BaNi2Sb4 with its computed PXRD pattern. Radiation: a wavelength of 1.5418 Å. Structure: DFT lattice parameters and positions (GGA-PBE).
Lines closer than 0.1° are merged.
........
So much for the materials data:
SHFolder.dll, distributed with Microsoft Internet Explorer 4.0 and
later versions. SHFolder.dll always calls the current platform's
version of this function. If that fails, it tries to simulate the
appropriate behavior. SHFolder.dll continues to be included for
backward compatibility, but the function is now implemented in
The DLL itself is redistributable so you can include it for WinPE. You can also just use any one of the other functions, if they work for you and you don't need any of the special cases.